_To do_
Duplicate everything further below verbatim.

_Listing_
-- begin --
Run w
Entry from the Alexandria database: a geometry-optimized MgPtF2 structure (GGA-PBE).

POSCAR file:
```
MgPtF2
1.0
0.0000 2.9813 2.9813
2.9813 0.0000 2.9813
2.9813 2.9813 0.0000
Mg Pt F
1 1 2
Cartesian
0.0000 0.0000 0.0000 Mg
2.9813 2.9813 2.9813 Pt
1.4907 1.4907 1.4907 F
4.4720 4.4720 4.4720 F
```

Values from the calculation:
Symmetry ... Fm-3m, No. 225
D(E_F) ... 3.150 states/eV/cell
Size of the total moment ... 0.36 Bohr magnetons per cell

***

Run x
Entry from the Alexandria database: a geometry-optimized MgPtF2 structure (GGA-PBE).

POSCAR file:
```
MgPtF2
1.0
1.4160 0.8175 9.5832
-1.4160 0.8175 9.5832
0.0000 -1.6351 9.5832
Mg Pt F
1 1 2
Cartesian
0.0000 0.0000 0.0000 Mg
0.0000 0.0000 14.3749 Pt
0.0000 0.0000 10.6320 F
0.0000 0.0000 18.1178 F
```

Values from the calculation:
Symmetry ... R-3m, No. 166
D(E_F) ... 2.972 states/eV/cell
Size of the total moment ... 0.00 Bohr magnetons per cell

***

It comes down to run x, which is 1.192 eV/atom more stable than the next structure.

***

Run w
Entry from the Alexandria database: a geometry-optimized MgPt2F structure (GGA-PBE).

POSCAR file:
```
MgPt2F
1.0
0.0000 3.0822 3.0822
3.0822 0.0000 3.0822
3.0822 3.0822 0.0000
Mg Pt F
1 2 1
Cartesian
0.0000 0.0000 0.0000 Mg
1.5411 1.5411 1.5411 Pt
4.6234 4.6234 4.6234 Pt
3.0822 3.0822 3.0822 F
```

Values from the calculation:
Symmetry ... Fm-3m, No. 225
D(E_F) ... 2.349 states/eV/cell
Size of the total moment ... 0.00 Bohr magnetons per cell

***

Run x
Entry from the Alexandria database: a geometry-optimized MgPt2F structure (GGA-PBE).

POSCAR file:
```
MgPt2F
1.0
-1.7932 1.7932 10.4785
1.7932 -1.7932 10.4785
1.7932 1.7932 -10.4785
Mg Pt F
2 4 2
Cartesian
0.0000 0.0000 0.0000 Mg
0.0000 1.7932 5.2393 Mg
2.6898 0.8964 -2.6196 Pt
0.8964 0.8966 2.6196 Pt
-0.8966 0.8968 7.8589 Pt
0.8968 0.8966 13.0982 Pt
1.7932 0.0000 5.2393 F
0.0000 0.0000 10.4785 F
```

Values from the calculation:
Symmetry ... I-42d, No. 122
D(E_F) ... 7.039 states/eV/cell
Size of the total moment ... 0.00 Bohr magnetons per cell

***

It comes down to run x, which is 0.435 eV/atom more stable than the next structure.

***

Run w
Entry from the Alexandria database: a geometry-optimized MgPt3F structure (GGA-PBE).

POSCAR file:
```
MgPt3F
1.0
4.4037 0.0000 0.0000
0.0000 4.4037 0.0000
0.0000 0.0000 4.4037
Mg Pt F
1 3 1
Cartesian
0.0000 0.0000 0.0000 Mg
0.0000 2.2018 2.2018 Pt
2.2018 0.0000 2.2018 Pt
2.2018 2.2018 0.0000 Pt
2.2018 2.2018 2.2018 F
```

Values from the calculation:
Symmetry ... Pm-3m, No. 221
D(E_F) ... 7.885 states/eV/cell
Size of the total moment ... 0.00 Bohr magnetons per cell

***

Run x
Entry from the Alexandria database: a geometry-optimized MgPt3F structure (GGA-PBE).

POSCAR file:
```
MgPt3F
1.0
4.6892 0.0000 0.0000
0.0000 4.6892 0.0000
0.0000 0.0000 4.6892
Mg Pt F
1 3 1
Cartesian
0.0000 0.0000 0.0000 Mg
0.0000 0.0000 2.3446 Pt
0.0000 2.3446 0.0000 Pt
2.3446 0.0000 0.0000 Pt
2.3446 2.3446 2.3446 F
```

Values from the calculation:
Symmetry ... Pm-3m, No. 221
D(E_F) ... 6.053 states/eV/cell
Size of the total moment ... 1.01 Bohr magnetons per cell

***

It comes down to run w, which is 0.700 eV/atom more stable than the next structure.

***

Run w
Entry from the Alexandria database: a geometry-optimized RbMgF3 structure (GGA-PBE).

POSCAR file:
```
RbMgF3
1.0
4.8993 0.0000 0.0000
0.0000 4.8993 0.0000
0.0000 0.0000 4.8993
Rb Mg F
1 1 3
Cartesian
0.0000 0.0000 0.0000 Rb
2.4496 2.4496 2.4496 Mg
0.0000 0.0000 2.4496 F
0.0000 2.4496 0.0000 F
2.4496 0.0000 0.0000 F
```

Values from the calculation:
Symmetry ... Pm-3m, No. 221
D(E_F) ... 2.782 states/eV/cell
Size of the total moment ... 0.00 Bohr magnetons per cell

***

Run x
Entry from the Alexandria database: a geometry-optimized RbMgF3 structure (GGA-PBE).

POSCAR file:
```
RbMgF3
1.0
5.9288 0.0000 0.0000
-2.9644 5.1345 0.0000
0.0000 0.0000 14.4310
Rb Mg F
6 6 18
Cartesian
0.0000 0.0000 3.6078 Rb
0.0000 0.0000 10.8233 Rb
0.0000 3.4230 1.4192 Rb
0.0000 3.4230 5.7963 Rb
2.9644 1.7115 8.6348 Rb
-- stop --

_Done_
Run w
Entry from the Alexandria database: a geometry-optimized MgPtF2 structure (GGA-PBE).

POSCAR file:
```
MgPtF2
1.0
0.0000 2.9813 2.9813
2.9813 0.0000 2.9813
2.9813 2.9813 0.0000
Mg Pt F
1 1 2
Cartesian
0.0000 0.0000 0.0000 Mg
2.9813 2.9813 2.9813 Pt
1.4907 1.4907 1.4907 F
4.4720 4.4720 4.4720 F
```

Values from the calculation:
Symmetry ... Fm-3m, No. 225
D(E_F) ... 3.150 states/eV/cell
Size of the total moment ... 0.36 Bohr magnetons per cell

***

Run x
Entry from the Alexandria database: a geometry-optimized MgPtF2 structure (GGA-PBE).

POSCAR file:
```
MgPtF2
1.0
1.4160 0.8175 9.5832
-1.4160 0.8175 9.5832
0.0000 -1.6351 9.5832
Mg Pt F
1 1 2
Cartesian
0.0000 0.0000 0.0000 Mg
0.0000 0.0000 14.3749 Pt
0.0000 0.0000 10.6320 F
0.0000 0.0000 18.1178 F
```

Values from the calculation:
Symmetry ... R-3m, No. 166
D(E_F) ... 2.972 states/eV/cell
Size of the total moment ... 0.00 Bohr magnetons per cell

***

It comes down to run x, which is 1.192 eV/atom more stable than the next structure.

***

Run w
Entry from the Alexandria database: a geometry-optimized MgPt2F structure (GGA-PBE).

POSCAR file:
```
MgPt2F
1.0
0.0000 3.0822 3.0822
3.0822 0.0000 3.0822
3.0822 3.0822 0.0000
Mg Pt F
1 2 1
Cartesian
0.0000 0.0000 0.0000 Mg
1.5411 1.5411 1.5411 Pt
4.6234 4.6234 4.6234 Pt
3.0822 3.0822 3.0822 F
```

Values from the calculation:
Symmetry ... Fm-3m, No. 225
D(E_F) ... 2.349 states/eV/cell
Size of the total moment ... 0.00 Bohr magnetons per cell

***

Run x
Entry from the Alexandria database: a geometry-optimized MgPt2F structure (GGA-PBE).

POSCAR file:
```
MgPt2F
1.0
-1.7932 1.7932 10.4785
1.7932 -1.7932 10.4785
1.7932 1.7932 -10.4785
Mg Pt F
2 4 2
Cartesian
0.0000 0.0000 0.0000 Mg
0.0000 1.7932 5.2393 Mg
2.6898 0.8964 -2.6196 Pt
0.8964 0.8966 2.6196 Pt
-0.8966 0.8968 7.8589 Pt
0.8968 0.8966 13.0982 Pt
1.7932 0.0000 5.2393 F
0.0000 0.0000 10.4785 F
```

Values from the calculation:
Symmetry ... I-42d, No. 122
D(E_F) ... 7.039 states/eV/cell
Size of the total moment ... 0.00 Bohr magnetons per cell

***

It comes down to run x, which is 0.435 eV/atom more stable than the next structure.

***

Run w
Entry from the Alexandria database: a geometry-optimized MgPt3F structure (GGA-PBE).

POSCAR file:
```
MgPt3F
1.0
4.4037 0.0000 0.0000
0.0000 4.4037 0.0000
0.0000 0.0000 4.4037
Mg Pt F
1 3 1
Cartesian
0.0000 0.0000 0.0000 Mg
0.0000 2.2018 2.2018 Pt
2.2018 0.0000 2.2018 Pt
2.2018 2.2018 0.0000 Pt
2.2018 2.2018 2.2018 F
```

Values from the calculation:
Symmetry ... Pm-3m, No. 221
D(E_F) ... 7.885 states/eV/cell
Size of the total moment ... 0.00 Bohr magnetons per cell

***

Run x
Entry from the Alexandria database: a geometry-optimized MgPt3F structure (GGA-PBE).

POSCAR file:
```
MgPt3F
1.0
4.6892 0.0000 0.0000
0.0000 4.6892 0.0000
0.0000 0.0000 4.6892
Mg Pt F
1 3 1
Cartesian
0.0000 0.0000 0.0000 Mg
0.0000 0.0000 2.3446 Pt
0.0000 2.3446 0.0000 Pt
2.3446 0.0000 0.0000 Pt
2.3446 2.3446 2.3446 F
```

Values from the calculation:
Symmetry ... Pm-3m, No. 221
D(E_F) ... 6.053 states/eV/cell
Size of the total moment ... 1.01 Bohr magnetons per cell

***

It comes down to run w, which is 0.700 eV/atom more stable than the next structure.

***

Run w
Entry from the Alexandria database: a geometry-optimized RbMgF3 structure (GGA-PBE).

POSCAR file:
```
RbMgF3
1.0
4.8993 0.0000 0.0000
0.0000 4.8993 0.0000
0.0000 0.0000 4.8993
Rb Mg F
1 1 3
Cartesian
0.0000 0.0000 0.0000 Rb
2.4496 2.4496 2.4496 Mg
0.0000 0.0000 2.4496 F
0.0000 2.4496 0.0000 F
2.4496 0.0000 0.0000 F
```

Values from the calculation:
Symmetry ... Pm-3m, No. 221
D(E_F) ... 2.782 states/eV/cell
Size of the total moment ... 0.00 Bohr magnetons per cell

***

Run x
Entry from the Alexandria database: a geometry-optimized RbMgF3 structure (GGA-PBE).

POSCAR file:
```
RbMgF3
1.0
5.9288 0.0000 0.0000
-2.9644 5.1345 0.0000
0.0000 0.0000 14.4310
Rb Mg F
6 6 18
Cartesian
0.0000 0.0000 3.6078 Rb
0.0000 0.0000 10.8233 Rb
0.0000 3.4230 1.4192 Rb
0.0000 3.4230 5.7963 Rb
2.9644 1.7115 8.6348 Rb